## What to do
Print the part of the contents underneath that starts with the line with "-0.656" and stops after the one with "-1.227323 -1.042247".

## Contents
<<<
Entry 1:
14
Properties=species:S:1:pos:R:3:forces:R:3:mulliken_charge:R:1 method="wB97M-V/def2-TZVPD" total_charge=0 multiplicity=1 homo_energy_ev=-9.20 relative_energy_ev=4.164
C -1.945658 -0.943026 -0.112982 -0.6 3.4 1.9 -1.565
C -1.454706 0.385126 0.545532 0.2 -0.8 -1.7 0.415
O -1.977441 1.486981 -0.254380 0.6 0.6 4.1 -0.512
C -0.003430 0.284591 0.484704 11.4 0.5 -4.2 0.329
C 1.312761 0.259927 0.033352 -9.3 0.0 3.7 -0.656
Si 3.203093 0.154285 -0.091266 -2.2 -0.7 -1.5 0.333
H -1.621452 -1.105972 -1.064238 1.0 0.1 -2.8 0.458
H -1.632393 -1.714893 0.438148 1.3 -3.1 2.2 0.510
H -2.974833 -0.905689 -0.045667 -2.4 -0.1 -0.2 0.402
H -1.645331 0.433439 1.649287 -0.9 0.4 -1.2 0.242
H -2.132761 1.260276 -1.134907 -0.1 -1.1 -2.0 0.315
H 3.735205 0.878035 0.967957 0.8 0.9 1.4 -0.104
H 3.553810 0.803290 -1.384225 0.1 -0.2 0.2 -0.082
H 3.583140 -1.276368 -0.031313 0.1 0.2 -0.1 -0.085


Entry 2:
18
Properties=species:S:1:pos:R:3:forces:R:3:mulliken_charge:R:1 method="wB97M-V/def2-TZVPD" total_charge=0 multiplicity=1 homo_energy_ev="-7.01 / -6.99" relative_energy_ev=3.623
C -0.687936 1.590519 -0.070588 -1.5 0.7 0.7 -0.360
C 0.645778 1.272650 0.055564 3.9 1.8 0.9 -0.524
C -1.862007 0.984850 0.003335 0.8 -2.9 -0.5 0.562
C 2.309019 -1.962791 -0.073728 -0.5 -2.0 0.2 -0.959
C -1.972906 -0.560911 0.090023 1.3 2.7 -0.4 0.866
N 1.447911 0.220934 -0.061880 4.0 0.4 0.4 0.253
N 1.302248 -1.020875 -0.192741 -3.5 1.1 -0.2 -0.585
O -2.992787 1.621517 -0.275700 -0.9 2.6 1.2 -0.484
F -1.227323 -1.042247 -0.891541 0.2 -0.9 -0.7 -0.219
F -1.506923 -1.021361 1.244716 0.3 -0.3 0.7 -0.244
F -3.182784 -0.971508 -0.067080 -2.2 -0.8 -0.1 -0.264
H -0.807094 2.665973 -0.049564 0.1 0.3 -0.4 0.152
H 1.251974 2.197396 0.371065 -0.7 -1.7 -0.9 0.142
H 3.098335 -2.022603 0.633442 0.9 1.4 1.4 0.396
H 1.637970 -2.746341 0.299725 0.9 -1.0 -0.6 0.303
H 2.802789 -2.222114 -0.985675 0.0 -0.4 -1.1 0.312
H 2.507227 0.452705 -0.039932 -2.0 0.5 0.4 0.334
H -2.763494 2.564206 0.010557 -1.1 -1.5 -0.9 0.318


Entry 3:
41
Properties=species:S:1:pos:R:3:forces:R:3:mulliken_charge:R:1 method="wB97M-V/def2-TZVPD" total_charge=0 multiplicity=1 homo_energy_ev=-8.99 relative_energy_ev=1.194
O 4.010169 -1.760667 -3.464012 -0.7 -0.1 1.2 -0.540
N 4.040030 -1.695540 -2.232293 2.2 0.9 -2.4 0.848
O 5.099843 -1.487194 -1.636880 -1.7 0.0 0.1 -0.515
C 2.781475 -1.857120 -1.531289 0.0 0.7 0.0 -0.107
C 2.769558 -2.802043 -0.552938 -0.9 -0.9 0.8 0.137
Cl 4.162505 -3.874211 -0.503426 -1.2 0.0 0.8 -0.154
C 1.541222 -2.920325 0.220908 2.3 -2.1 -0.1 -0.026
Cl 1.355848 -4.319464 1.369749 0.3 1.6 -1.0 -0.217
C 0.500748 -2.101159 -0.037545 -2.2 -0.3 1.5 -0.559
C 0.512267 -1.208014 -1.084421 -0.1 0.7 0.7 0.366
C 1.653171 -1.051751 -1.832329 1.1 -0.6 -0.5 0.606
N 1.487594 -0.078266 -2.762996 -0.2 0.8 -0.6 -0.760
C 0.280685 0.398817 -2.577153 0.2 0.5 0.5 0.386
C -0.287903 1.547455 -3.386562 0.0 0.5 0.3 -0.321
C -0.463179 2.933607 -2.690671 2.1 -1.7 0.8 -0.574
C 0.623488 2.746687 -3.758754 -1.2 -0.8 1.9 -0.774
N -0.370643 -0.218703 -1.487124 -0.1 0.3 -1.4 0.144
C -1.686510 0.152923 -0.908004 1.8 -1.8 1.7 -0.988
C -1.519645 0.269020 0.642598 -1.0 0.5 -2.3 0.603
C -2.578164 -0.160889 1.419090 -1.1 -0.2 -0.6 -0.925
C -2.483855 -0.096571 2.768464 -0.8 -0.3 0.1 -0.482
C -1.374806 0.443080 3.331412 0.4 0.2 1.9 0.236
B -1.482842 0.361926 4.869431 0.3 1.2 1.9 0.787
O -1.452221 -0.908141 5.357326 0.1 -0.7 0.3 -0.554
O -1.651162 1.498159 5.702056 -1.2 0.6 -1.7 -0.613
C -0.336669 0.918364 2.592342 0.7 -0.2 -1.4 -1.262
C -0.394513 0.829832 1.197949 -0.5 0.0 1.0 0.253
H -0.389301 -2.172330 0.601113 0.4 -0.1 -0.3 0.459
H -1.050873 1.201705 -4.128087 0.6 0.6 0.7 0.412
H -0.188227 3.067873 -1.604665 0.0 -0.5 -1.4 0.132
H -1.305993 3.487213 -2.918791 -1.6 1.0 -0.7 0.356
H 0.470000 3.289649 -4.662565 -0.1 -0.1 -0.6 0.315
H 1.637172 2.727316 -3.390076 0.1 -0.2 -0.1 0.254
H -2.009614 1.012276 -1.409911 -0.3 1.5 -0.5 0.545
H -2.432306 -0.610654 -1.086458 0.0 -0.4 -0.2 0.299
H -3.542827 -0.489560 1.031644 0.5 -0.2 -0.5 0.313
>>>

## Written answer
C 1.312761 0.259927 0.033352 -9.3 0.0 3.7 -0.656
Si 3.203093 0.154285 -0.091266 -2.2 -0.7 -1.5 0.333
H -1.621452 -1.105972 -1.064238 1.0 0.1 -2.8 0.458
H -1.632393 -1.714893 0.438148 1.3 -3.1 2.2 0.510
H -2.974833 -0.905689 -0.045667 -2.4 -0.1 -0.2 0.402
H -1.645331 0.433439 1.649287 -0.9 0.4 -1.2 0.242
H -2.132761 1.260276 -1.134907 -0.1 -1.1 -2.0 0.315
H 3.735205 0.878035 0.967957 0.8 0.9 1.4 -0.104
H 3.553810 0.803290 -1.384225 0.1 -0.2 0.2 -0.082
H 3.583140 -1.276368 -0.031313 0.1 0.2 -0.1 -0.085


Entry 2:
18
Properties=species:S:1:pos:R:3:forces:R:3:mulliken_charge:R:1 method="wB97M-V/def2-TZVPD" total_charge=0 multiplicity=1 homo_energy_ev="-7.01 / -6.99" relative_energy_ev=3.623
C -0.687936 1.590519 -0.070588 -1.5 0.7 0.7 -0.360
C 0.645778 1.272650 0.055564 3.9 1.8 0.9 -0.524
C -1.862007 0.984850 0.003335 0.8 -2.9 -0.5 0.562
C 2.309019 -1.962791 -0.073728 -0.5 -2.0 0.2 -0.959
C -1.972906 -0.560911 0.090023 1.3 2.7 -0.4 0.866
N 1.447911 0.220934 -0.061880 4.0 0.4 0.4 0.253
N 1.302248 -1.020875 -0.192741 -3.5 1.1 -0.2 -0.585
O -2.992787 1.621517 -0.275700 -0.9 2.6 1.2 -0.484
F -1.227323 -1.042247 -0.891541 0.2 -0.9 -0.7 -0.219